(Source)
[1]
Below is a geometry-optimized TmTe2PbAuS structure, with properties calculated at the PBE level.

Lattice parameters (Å, degrees): 7.697 7.697 10.266 90.00 90.00 147.77
Atoms (fractional coordinates):
Tm 0.000 0.000 0.000
Tm 0.000 0.000 0.500
Te 0.352 0.648 0.552
Te 0.352 0.648 0.948
Te 0.648 0.352 0.052
Te 0.648 0.352 0.448
Pb 0.260 0.740 0.250
Pb 0.740 0.260 0.750
Au 0.481 0.519 0.750
Au 0.519 0.481 0.250
S 0.075 0.925 0.750
S 0.925 0.075 0.250

## Properties
Total magnetic moment, μB per formula unit: 0.01

[2]
Below is a geometry-optimized Ac3Cu2Pd7 structure, with properties calculated at the PBE level.

Lattice parameters (Å, degrees): 9.402 9.402 9.402 34.60 34.60 34.60
Atoms (fractional coordinates):
Ac 0.000 0.000 0.000
Ac 0.138 0.138 0.138
Ac 0.862 0.862 0.862
Cu 0.333 0.333 0.333
Cu 0.667 0.667 0.667
Pd 0.077 0.580 0.580
Pd 0.420 0.420 0.923
Pd 0.420 0.923 0.420
Pd 0.500 0.500 0.500
Pd 0.580 0.077 0.580
Pd 0.580 0.580 0.077
Pd 0.923 0.420 0.420

## Properties
Total magnetic moment, μB per formula unit: 0.00

[3]
Below is a geometry-optimized Dy2ErGa3FeGe2 structure, with properties calculated at the PBE level.

Lattice parameters (Å, degrees): 4.135 6.942 6.942 119.88 90.00 90.00
Atoms (fractional coordinates):
Dy 0.000 0.200 0.800
Dy 0.000 0.800 0.200
Er 0.000 0.599 0.599
Ga 0.500 0.201 0.428
Ga 0.500 0.428 0.201
Ga 0.500 0.973 0.973
Fe 0.000 0.202 0.202
Ge 0.500 0.534 0.866
Ge 0.500 0.866 0.534

## Properties
Total magnetic moment, μB per formula unit: 0.00

Let's list calculated total energy in order: -4.40, -5.34, -5.13 eV per atom.


# PmReW

An optimized crystal structure of PmReW (PBE, Alexandria).

Cell and atoms, written as CIF:
```
data_PmReW
_symmetry_space_group_name_H-M 'I m m a'
_symmetry_Int_Tables_number 74
_symmetry_space_group_name_Hall '-I 2b 2'
_cell_length_a 5.522
_cell_length_b 5.595
_cell_length_c 7.790
_cell_angle_alpha 90.00
_cell_angle_beta 90.00
_cell_angle_gamma 90.00
loop_
_atom_site_label
_atom_site_type_symbol
_atom_site_fract_x
_atom_site_fract_y
_atom_site_fract_z
_atom_site_occupancy
Pm1 Pm 0.000 0.250 0.123 1
Re1 Re 0.250 0.250 0.750 1
W1 W 0.000 0.000 0.500 1
```

Results
ΔE to the lowest computed polymorph: 0 meV/atom
DFT formation energy: 0.0812 eV/atom


Record 1
A geometry-optimized CeNdTh2Bi5 structure, computed with GGA-PBE.

Properties
SG: P4/mmm (123)
Formation enthalpy at 0 K in meV/atom: 157

```
9
Lattice="-4.525 -3.025 -1.117 2.091 -1.287 -4.985 5.274 -9.622 4.696" Properties=species:S:1:pos:R:3 pbc="T T T"
Th 0.432 -5.166 -1.582
Th 2.407 -8.769 0.177
Bi 3.968 -7.239 3.533
Bi -1.217 -2.156 -3.051
Bi 0.374 -6.324 1.790
Bi 3.682 -5.455 -0.144
Bi 1.306 -2.383 1.163
Ce 0.000 0.000 0.000
Nd 2.637 -4.811 2.348
```


Record 2
A geometry-optimized CeNd2ThBi4 structure, computed with GGA-PBE.

Properties
SG: P2/m (10)
Formation enthalpy at 0 K in meV/atom: -831

```
8
Lattice="-4.202 -1.314 1.351 -0.516 -4.841 -6.313 3.213 -3.969 6.135" Properties=species:S:1:pos:R:3 pbc="T T T"
Ce 0.000 0.000 0.000
Bi -1.431 -2.852 0.624
Bi -0.074 -7.272 0.548
Bi 2.284 -4.192 3.028
Bi 0.413 -4.618 -3.207
Nd -0.495 -2.641 3.743
Nd 1.348 -4.405 -0.089
Th -2.359 -3.077 -2.481
```


Record 3
A geometry-optimized Ce2NdThBi5 structure, computed with GGA-PBE.

Properties
SG: P4/mmm (123)
Formation enthalpy at 0 K in meV/atom: 50

```
9
Lattice="-1.153 0.716 5.585 1.034 -5.577 0.928 11.634 2.504 2.082" Properties=species:S:1:pos:R:3 pbc="T T T"
Th 5.817 1.252 1.041
Ce 8.308 -0.629 4.754
Ce 3.207 -1.727 3.841
Bi 6.334 -1.536 1.505
Bi 8.774 1.889 1.570
Bi 2.860 0.616 0.512
Bi 5.240 1.610 3.833
Bi -0.060 -2.430 3.257
Nd 0.000 0.000 0.000
```


Record 4
A geometry-optimized Ce2NdThBi4 structure, computed with GGA-PBE.

Properties
SG: P2/m (10)
Formation enthalpy at 0 K in meV/atom: -791

```

(Job)
Type out only the lines further above with the word "moment" in them.

(Outcome)
Total magnetic moment, μB per formula unit: 0.01
Total magnetic moment, μB per formula unit: 0.00
Total magnetic moment, μB per formula unit: 0.00